#PasToucheAMonHijab: How France is Erasing Muslim Women and Girls from Society
This article was originally published on Meeting of Minds
Once again, France has unleashed new levels of Islamophobia, but I prefer to use the term anti Muslim hatred. Calling it Islamophobia places the onus on Muslims who fall victim to it, rather than those who perpetrate it. Viewing Islamophobia as a phobia completely disregards the experiences of Muslims that unfortunately experience prejudice and hate on a regular basis. Governments and institutions use the term ‘Islamophobia’ as an easier way to target Muslims by the constant surveillance and censorship of Muslim people.
**These records of crystals were left in the piece by mistake:**
+++
Structure and calculated PXRD pattern of Rb3CaGe2O6 (a structure optimized by DFT (PBE); Cu Kα (weighted mean of Kα1 and Kα2)).
Kinematic intensities with the Lorentz-polarization factor, no thermal factor.

Largest 6 diffraction maxima, sorted by position, 10° ≤ 2θ ≤ 90°:
2θ 23.6, rel. 20
2θ 28.7, rel. 100
2θ 28.9, rel. 83
2θ 41.2, rel. 47
2θ 51.0, rel. 51
2θ 59.5, rel. 20

Crystal structure
Cell: 6.2107 6.2107 7.5478 Å, 90.00 90.00 120.00°
Sites, in units of the cell vectors:
Rb 0.0000 0.0000 0.0000
Rb 0.3333 0.6667 0.7067
Rb 0.6667 0.3333 0.2933
Ca 0.0000 0.0000 0.5000
Ge 0.3333 0.6667 0.2610
Ge 0.6667 0.3333 0.7390
O 0.1743 0.3486 0.3044
O 0.1743 0.8257 0.3044
O 0.3486 0.1743 0.6956
O 0.6514 0.8257 0.3044
O 0.8257 0.1743 0.6956
O 0.8257 0.6514 0.6956


Structure and calculated PXRD pattern of Y4SeS3 (a structure optimized by DFT (PBE); Cu Kα (weighted mean of Kα1 and Kα2)).
Kinematic intensities with the Lorentz-polarization factor, no thermal factor.

Largest 6 diffraction maxima, sorted by position, 10° ≤ 2θ ≤ 90°:
2θ 27.1, rel. 20
2θ 31.3, rel. 77
2θ 33.3, rel. 100
2θ 46.3, rel. 88
2θ 75.1, rel. 22
2θ 85.8, rel. 19

Crystal structure
Cell: 3.9229 3.9229 26.4860 Å, 90.00 90.00 120.00°
Sites, in units of the cell vectors:
Y 0.0000 0.0000 0.1784
Y 0.0000 0.0000 0.3216
Y 0.0000 0.0000 0.6784
Y 0.0000 0.0000 0.8216
Y 0.3333 0.6667 0.0633
Y 0.3333 0.6667 0.4367
Y 0.6667 0.3333 0.5633
Y 0.6667 0.3333 0.9367
Se 0.3333 0.6667 0.2500
Se 0.6667 0.3333 0.7500
S 0.0000 0.0000 0.0000
S 0.0000 0.0000 0.5000
S 0.3333 0.6667 0.6209
S 0.3333 0.6667 0.8791
S 0.6667 0.3333 0.1209
S 0.6667 0.3333 0.3791


Structure and calculated PXRD pattern of Ta6Nb3Ir (a structure optimized by DFT (PBE); Cu Kα (weighted mean of Kα1 and Kα2)).
Kinematic intensities with the Lorentz-polarization factor, no thermal factor.

Largest 6 diffraction maxima, sorted by position, 10° ≤ 2θ ≤ 90°:
2θ 38.6, rel. 35
2θ 38.6, rel. 68
2θ 38.9, rel. 100
2θ 55.9, rel. 35
2θ 69.8, rel. 12
2θ 70.0, rel. 30

Crystal structure
Cell: 8.0688 4.6696 9.7984 Å, 90.00 105.78 90.00°
Sites, in units of the cell vectors:
Ta 0.0484 0.2500 0.3973
Ta 0.1498 0.7500 0.1956
Ta 0.2555 0.2500 0.9984
Ta 0.3515 0.2500 0.2992
Ta 0.3527 0.7500 0.8054
Ta 0.4491 0.2500 0.6024
Ta 0.5509 0.7500 0.3976
Ta 0.6473 0.2500 0.1946
Ta 0.6485 0.7500 0.7008
Ta 0.7445 0.7500 0.0016
Ta 0.8502 0.2500 0.8044
Ta 0.9516 0.7500 0.6027
Nb 0.0489 0.7500 0.8994
Nb 0.1510 0.2500 0.7005
Nb 0.2537 0.7500 0.5017
Nb 0.7463 0.2500 0.4983
Nb 0.8490 0.7500 0.2995
Nb 0.9511 0.2500 0.1006
Ir 0.4497 0.7500 0.1004
Ir 0.5503 0.2500 0.8996


Computed powder X-ray diffraction pattern
Compound: Sn5Se5Cl
Radiation: copper Kα
Structure: a cell relaxed with PBE
No peak broadening, texture or thermal motion is included.

Cell and atoms:
abc: 7.264 7.264 8.614
angles: 106.88 106.88 48.19
Element x y z (fractional)
Sn  0.000  0.000  0.000
Sn  0.325  0.325  0.180
Sn  0.334  0.334  0.641
Sn  0.666  0.666  0.359
Sn  0.675  0.675  0.820
Se  0.167  0.167  0.332
+++
For instance, in February, the Dutch Parliament decided to monitor mosques due to a “foreign influence”, when in reality they are curbing the civil liberties of Muslims who are literally just practicing their religion, like any other religion. Unfortunately, the British government has somewhat successfully managed to create fear around the Muslim community, allowing them to implement oppressive and racist policies and strategies such as Prevent, that aims to counter extremism but instead targets Muslim people.
Whilst this isn’t unique to France, other European countries such as Belgium and Switzerland have been notorious for interfering with the rights and humanity of Muslim women and girls that choose to wear their hijabs, niqabs or burqas.
Just days before the Muslim holy month of Ramadan, the French Senate voted to approve Macron’s separatism bill and if this unfortunate bill becomes a law, Muslim girls under the age of 18 would be banned from wearing the hijab in public spaces and Muslim mothers who wear the hijab would be banned from accompanying their children on school trips. Forcing someone to remove their hijab, just like forcing someone to cover, is wrong and limits their agency. Some may argue that the French law may try to ‘liberate’ these women and girls in the eyes of Western imperialism due to the harmful representation of Islam and Muslims, yet this is in no way liberating. The irony of France’s national motto being ‘liberté, égalité, fraternité’ is laughable because this current bill, their previous and current legislation about hijab and their entire colonial history never abided by liberté, égalité, fraternité when they were oppressing countries in West and North Africa and the Caribbean.
As Muslim women and girls, the hijab is worn as an act of ibadah (worship) and it’s very common for young girls to wear their hijab once they feel more confident and ready to cover their hair. To strip away the autonomy of a young girl, experiencing puberty is wrong. What is France’s obsession with Muslim women and girls that choose to cover up? It is simply rooted in misogyny, colonialism and racism, assuming that women and girls don’t have the agency to choose for themselves and practice their religion.
Hasidic Jewish women wear a tichel, Catholic nuns wear a veil but it’s the hijab that the French government has an issue with.
_Records of crystals, kept here for reference_
┌──
Entry 1:
Theoretical X-ray powder pattern
Compound: Sr3TaCoO7
Radiation: Cu Kα, 1.54184 Å
Structure: a PBE+U-relaxed structure

Structural model:
```
Sr3TaCoO7
1.0
3.9645 0.0000 0.0000
-0.0032 7.8974 0.0000
-0.0127 -0.0024 21.5345
Sr Ta Co O
12 4 4 28
Cartesian
0.0000 0.0000 0.0000 Sr
-0.0014 0.0073 3.5336 Sr
-0.0039 3.9190 8.0750 Sr
-0.0054 7.8553 8.1013 Sr
1.9572 5.8533 14.2765 Sr
1.9609 1.9676 14.2745 Sr
1.9682 1.9262 18.8253 Sr
1.9668 5.8955 18.8521 Sr
1.9867 5.9132 10.7784 Sr
1.9909 1.9147 10.7772 Sr
3.9585 3.8687 3.5303 Sr
3.9477 3.8745 21.5336 Sr
1.9785 1.9381 6.0686 Ta
1.9768 5.8870 6.0442 Ta
3.9492 3.9142 16.8401 Ta
3.9490 7.8573 16.7909 Ta
-0.0104 7.8610 12.4802 Co
1.9717 5.8879 1.6694 Co
1.9794 1.9372 1.6223 Co
3.9511 3.9118 12.3775 Co
3.9615 1.9370 1.8487 O
3.9535 1.9330 16.9368 O
-0.0039 1.9398 6.1684 O
3.9524 3.9117 14.9350 O
3.9509 3.9191 18.9296 O
-0.0055 5.8854 6.1546 O
3.9520 5.8902 16.9346 O
-0.0012 5.8883 1.8761 O
-0.0119 7.8540 18.8868 O
-0.0080 7.8608 14.8647 O
1.9645 7.8602 12.6036 O
1.9675 3.9124 12.5799 O
1.9685 3.9134 16.9634 O
1.9797 0.0190 1.8418 O
1.9781 1.9200 8.1431 O
1.9677 1.9263 21.1715 O
1.9785 1.9475 4.1490 O
1.9793 3.8582 1.8290 O
1.9776 3.9140 6.1780 O
1.9773 5.8778 4.1176 O
1.9765 5.9045 8.1285 O
1.9756 7.8599 6.1491 O
1.9688 7.8589 16.8981 O
1.9697 5.8980 21.2363 O
3.9445 7.8582 10.4585 O
3.9497 2.0386 12.6495 O
3.9502 3.9127 10.4058 O
3.9477 5.7842 12.6509 O
```

Top 12 peaks for 5 to 70 degrees two-theta, low angle first:
| d [Å] | two_theta | Rel. int. |
| --- | --- | --- |
| 10.767 | 8.21 | 23 |
| 5.384 | 16.47 | 15 |
| 3.892 | 22.85 | 12 |
| 3.465 | 25.71 | 23 |
| 2.914 | 30.68 | 100 |
| 2.798 | 31.99 | 59 |
| 2.153 | 41.95 | 14 |
| 1.982 | 45.77 | 17 |
| 1.974 | 45.97 | 17 |
| 1.706 | 53.71 | 16 |
| 1.638 | 56.14 | 19 |
| 1.635 | 56.26 | 18 |

Entry 2:
Theoretical X-ray powder pattern
Compound: Sr3TaCoO7
Radiation: Cu Kα, 1.54184 Å
Structure: a PBE+U-relaxed structure

Structural model:
```
Sr3TaCoO7
1.0
3.9690 0.0000 0.0000
-1.9711 10.9764 0.0000
-0.0065 -2.8305 15.5163
Sr Ta Co O
12 4 4 28
Cartesian
0.0000 0.0000 0.0000 Sr
3.9639 -0.6967 3.9110 Sr
-0.0230 3.0777 8.6097 Sr
-0.0304 2.3937 12.4391 Sr
-0.0087 4.4874 0.8703 Sr
0.0046 3.8117 4.7040 Sr
-0.0204 5.8605 13.0322 Sr
-0.0059 6.5673 9.1614 Sr
0.0008 7.9647 1.5442 Sr
0.0218 7.2489 5.3873 Sr
3.9584 -1.4155 7.7680 Sr
3.9522 -2.1124 11.6502 Sr
1.9703 0.2144 10.0727 Ta
1.9814 1.6218 2.3106 Ta
1.9723 -0.4725 13.9574 Ta
1.9770 0.9467 6.1998 Ta
1.9181 3.9116 14.7838 Co
1.9818 5.2387 6.9841 Co
1.9692 4.6131 10.8496 Co
1.9889 6.0223 3.1253 Co
-0.0030 1.5050 2.2854 O
-0.0118 0.1107 10.0550 O
-0.0095 -0.5909 13.9377 O
-0.0063 0.8426 6.1746 O
-0.0068 5.0765 6.9468 O
-0.0159 4.4037 10.8408 O
0.0030 5.7968 3.0637 O
0.0208 3.6379 14.6955 O
0.0003 9.1455 9.7004 O
0.0119 10.5400 1.9288 O
0.0051 8.4314 13.5863 O
0.0076 9.8678 5.8183 O
1.9799 1.8500 0.3475 O
1.9783 1.1745 4.2329 O
1.9782 0.4659 8.1123 O
1.9762 -0.2471 11.9982 O
1.9735 2.0968 10.4221 O
└──
It’s a law against Islam, not just the hijab. The bill also acts as a form of control and regulation over women’s bodies. Meanwhile the age of consent in France is 15 years old. Considering that the majority of Muslims in France come from West African and Arab backgrounds, it is clear where the racial element comes in.
In 1989, three teenage girls in Creil, a town in France were expelled for wearing their hijabs in school, which went against the secular nature of the country. In 2004, the hijab was banned in French public schools. In 2011, Nicolas Sarkozy banned the niqab (face covering) when I was 9 and upon reflection, I realised the hatred people had for Muslims, given the rampant notions associating Muslims with terrorism following the killing of Osama Bin Laden. Now, a decade later, almost everyone is wearing masks and covering faces but the niqab is still banned and punishable with a fine and French citizenship education. As noted by Yasser Louati, French human rights activist, “2004 was the opening of the Pandora Box when Islamophobia became a legal form of discrimination and not just an opinion.”
For those of us familiar with France’s history of colonialism, laïcité and racism, their views about the hijab isn’t a new phenomenon. The best translation of laïcité is the separation of religion and state, ensuring that religion is practiced privately, enacted by law in 1905. Yet this is problematic because Muslim women and girls that wear the hijab are public manifestations of their religion. Rather, laïcité can be viewed as way of regulating religion, mainly Islam. Western saviorism has been institutionalized to the extent that when Algeria was colonised, Algerians were offered citizenship if they left Islam. During Algeria’s resistance against French colonialism, the niqab was crucial as a form of resistance, reminding us that our feminism must be decolonial.
Martinican scholar Frantz Fanon once wrote about how France maintains their brutal acts of colonialism through gender and noted:
The following is a computed X-ray diffraction stick pattern of Rb2VTcF6. It was derived from a structure optimized by DFT (GGA+U), using Cu Kα, 1.54184 Å.
Intensities are scaled so that the largest is 100.

Peak list (10 most intense, 2θ from 5° to 70°, low angle first)
2θ = 17.9°, d 4.943, rel. 9; 2θ = 29.4°, d 3.039, rel. 100; 2θ = 29.7°, d 3.004, rel. 48; 2θ = 36.3°, d 2.472, rel. 14; 2θ = 41.5°, d 2.174, rel. 23; 2θ = 42.6°, d 2.124, rel. 42; 2θ = 51.9°, d 1.761, rel. 20; 2θ = 52.6°, d 1.741, rel. 39; 2θ = 61.0°, d 1.519, rel. 26; 2θ = 61.8°, d 1.502, rel. 13

Structural model:
abc: 6.079 6.079 6.079
angles: 120.77 120.77 88.67
Element x y z (fractional)
Rb: 0.250 0.750 0.500
Rb: 0.750 0.250 0.500
V: 0.000 0.000 0.000
Tc: 0.500 0.500 0.000
F: 0.243 0.243 0.000
F: 0.249 0.249 0.497
F: 0.249 0.751 0.000
F: 0.751 0.249 0.000
F: 0.751 0.751 0.503
F: 0.757 0.757 0.000


This entry pairs a crystal structure of MnPb3Cl2F6 with its simulated powder XRD pattern. Radiation: λ = 1.5418 Å (Cu Kα). Structure: a GGA+U-relaxed structure.

a = 13.1295 Å, b = 7.2373 Å, c = 5.5640 Å
α = 90.00°, β = 98.34°, γ = 90.00°
Space group C2/m (No. 12)
One atom of each set of equivalent atoms:
Mn  0.0000  0.0000  0.0000
Pb  0.0000  0.5000  0.5000
Pb  0.2500  0.2500  0.0000
Cl  0.2021  0.5000  0.3692
F  0.0645  0.2422  0.8006
F  0.1528  0.0000  0.1631

Largest 10 diffraction maxima, sorted by position, 10° ≤ 2θ ≤ 80°:
- 4.537 Å, I = 86, hkl 2 0 -1
- 4.305 Å, I = 45, hkl 1 1 -1
- 4.014 Å, I = 55, hkl 1 1 1
- 3.928 Å, I = 66, hkl 2 0 1
- 3.248 Å, I = 70, hkl 4 0 0
- 3.161 Å, I = 87, hkl 2 2 0
- 3.024 Å, I = 100, hkl 0 2 1
- 2.307 Å, I = 44, hkl 4 2 -1
- 2.153 Å, I = 59, hkl 2 2 -2
- 2.130 Å, I = 48, hkl 4 2 1

This entry pairs a crystal structure of Rb3Mn2Cl5F2 with its simulated powder XRD pattern. Radiation: λ = 1.5418 Å (Cu Kα). Structure: a GGA+U-relaxed structure.

a = 5.2025 Å, b = 5.2025 Å, c = 23.7669 Å
α = 90.00°, β = 90.00°, γ = 90.00°
Space group I4/mmm (No. 139)
One atom of each set of equivalent atoms:
Rb  0.0000  0.0000  0.0000
Rb  0.0000  0.0000  0.1927
Mn  0.0000  0.0000  0.3910
Cl  0.0000  0.0000  0.5000
Cl  0.0000  0.5000  0.1056
F  0.0000  0.0000  0.3056

Largest 10 diffraction maxima, sorted by position, 10° ≤ 2θ ≤ 80°:
- 3.679 Å, I = 61, hkl 1 1 0
- 3.509 Å, I = 100, hkl 1 0 5
- 3.128 Å, I = 28, hkl 1 1 4
- 2.696 Å, I = 43, hkl 1 1 6
- 2.601 Å, I = 92, hkl 2 0 0
- 2.377 Å, I = 30, hkl 0 0 10
- 2.090 Å, I = 46, hkl 2 1 5
- 1.839 Å, I = 30, hkl 2 2 0
- 1.755 Å, I = 44, hkl 2 0 10
- 1.455 Å, I = 22, hkl 2 2 10

This entry pairs a crystal structure of Rb3Mn2Cl4F3 with its simulated powder XRD pattern. Radiation: λ = 1.5418 Å (Cu Kα). Structure: a GGA+U-relaxed structure.

a = 4.3016 Å, b = 25.8513 Å, c = 5.2157 Å
α = 90.00°, β = 90.00°, γ = 90.00°
Space group Imm2 (No. 44)
One atom of each set of equivalent atoms:
Rb  0.0000  0.0000  0.0000
Rb  0.0000  0.1842  0.9185
Mn  0.0000  0.4165  0.9219
Cl  0.0000  0.3140  0.9166
Cl  0.0000  0.4106  0.4127
“If we want to destroy the structure of Algerian society, its capacity for resistance, we must first of all conquer the women; we must go and find them behind the veil where they hide themselves and, in the houses, where the men keep them out of sight.”
To destroy the fabric of Algerian society, the French tried to destroy the women’s relationship with their niqab. When in reality, the niqab was instrumental for freedom against oppression. During the Algerian War of Independence, mass unveilings occurred and the wives of French military officers unveiled Algerian women as an ‘emancipatory’ act. Following these forced unveilings, many Algerian women began to wear the niqab as an act of resistance, to define liberation for themselves.
Lallab is a French feminist and anti-racist organisation that is run by Muslim women for Muslim women, amplifying their voices and defending their rights. As France and Europe become increasingly right-wing, my hope is that things get better for Muslims in France, especially as they have the largest population of Muslims in Europe of an estimated 5.7 million. France’s actions are not new, it’s in their colonial DNA and we must stand in solidarity with our Muslim sisters impacted by institutionalised anti-Muslim hatred.